== Wanted ==
Please type out everything underneath exactly.

== Contents ==
+++
1.
Below is the molecule C27H32N4O5 in a non-equilibrium geometry, with properties calculated with the ωB97M-V functional and the def2-TZVPD basis.

The geometry in XYZ format:
```
68
C27H32N4O5 the ωB97M-V functional and the def2-TZVPD basis
C 0.46547 4.68143 3.11626
C 1.40106 3.47722 3.21971
C 0.95015 2.34121 2.34618
C -0.21703 1.64767 2.64610
C -0.62963 0.57987 1.87533
C 0.12355 0.18808 0.77653
N -0.25041 -0.96266 0.03068
C -1.37225 -1.04426 -0.71723
O -1.76697 -2.09923 -1.19515
C -2.07542 0.25986 -1.03325
C -1.20303 1.10289 -1.97748
C -0.69628 2.36189 -1.29411
O -1.29147 2.92429 -0.40657
N 0.47390 2.82774 -1.82840
C 1.15441 3.94162 -1.38719
C 0.68540 5.00662 -0.57612
C 1.77317 5.82360 -0.46548
C 1.99021 7.10136 0.25413
O 2.79787 5.29617 -1.15678
N 2.40867 4.12844 -1.72757
C 0.66695 -2.10408 0.13316
C 0.18255 -3.14983 1.16868
O 0.79793 -3.33768 2.19868
N -0.93678 -3.77664 0.80703
C -1.62047 -4.74901 1.62818
C -1.89140 -6.02719 0.83108
C -3.13198 -5.70432 -0.01432
C -3.82512 -4.51504 0.67923
C -3.03285 -4.26531 1.96642
C 0.90386 -2.70638 -1.21464
C 1.00055 -3.99609 -1.64195
C 1.26998 -3.93237 -3.03173
C 1.31643 -2.61217 -3.34371
O 1.10340 -1.85761 -2.24957
C 1.28661 0.87664 0.46160
C 1.68939 1.94644 1.23992
H 0.80783 5.48267 3.76753
H 0.43976 5.04774 2.09424
H -0.54553 4.40757 3.40572
H 1.43075 3.13677 4.25811
H 2.41128 3.77796 2.93512
H -0.80000 1.93396 3.50875
H -1.52449 0.03178 2.13148
H -2.28152 0.84209 -0.13421
H -3.02208 0.00120 -1.50775
H -1.79683 1.43331 -2.83348
H -0.36967 0.51246 -2.36231
H 0.98464 2.26382 -2.49264
H -0.29531 5.11445 -0.16861
H 2.60391 6.93311 1.13861
H 2.51280 7.80661 -0.38839
H 1.03626 7.51975 0.56003
H 1.61044 -1.70552 0.52759
H -1.38448 -3.49837 -0.06324
H -0.99872 -4.91480 2.51121
H -1.03628 -6.31299 0.22120
H -2.10126 -6.83999 1.52651
H -3.79166 -6.56851 -0.08145
H -2.84191 -5.43081 -1.02816
H -3.78355 -3.63399 0.03898
H -4.87298 -4.72244 0.89127
H -3.42876 -4.86600 2.78566
H -3.04458 -3.21919 2.26865
H 0.89968 -4.87728 -1.04370
H 1.40424 -4.75858 -3.69883
H 1.48505 -2.09601 -4.26793
H 1.88061 0.56857 -0.38728
H 2.59880 2.47154 0.98492
```

The calculation puts the LUMO energy at 0.02509 Ha. The calculation puts the strongest force on any atom at 1.34 eV/Å. Its multiplicity is 1. The calculation puts the energy at -44716.72370 eV. For the gap between HOMO and LUMO, the calculation gives 0.339 Ha. The SMILES is CCc1ccc(N(C(=O)CCC(=O)Nc2cc(C)on2)[C@@H](C(=O)NC2CCCC2)c2ccco2)cc1.

Atom charges from the natural (NBO) analysis, given in e for atoms 1 to 4: -0.595 -0.420 -0.009 -0.142



2.
Below is the molecule C27H32N5O5PS in a non-equilibrium geometry, with properties calculated with the ωB97M-V functional and the def2-TZVPD basis.

The geometry in XYZ format:
```
71
C27H32N5O5PS the ωB97M-V functional and the def2-TZVPD basis
C -0.93611 3.50844 -3.50650
C 0.41422 2.98854 -3.00826
N 0.55648 1.56979 -3.31463
C 0.50769 1.07645 -4.66055
C 0.30815 0.81827 -2.21505
C 0.12810 -0.55462 -2.12084
C -0.05776 -1.11684 -0.86239
N -0.24543 -2.48596 -0.69664
C -0.54811 -3.42196 -1.64445
O -0.68510 -3.19352 -2.83171
C -0.73732 -4.77667 -1.10557
C -0.97561 -5.89151 -1.86562
C -1.13872 -7.05753 -1.09748
C -1.02899 -6.81884 0.23740
S -0.72053 -5.16981 0.58636
C -0.07489 -0.30898 0.28898
P -0.32829 -1.05289 1.92225
O 0.25777 -2.38419 2.13309
N 0.24833 0.12239 3.01135
C 1.50167 0.66802 3.02935
C 2.48401 0.21106 2.14249
C 3.72260 0.80365 2.11287
C 4.00514 1.86016 2.97799
N 5.28478 2.49141 2.93466
O 6.08771 2.09628 2.11090
O 5.50045 3.39525 3.72048
C 3.04816 2.30311 3.88877
C 1.80753 1.71194 3.91352
N -1.93863 -1.00987 2.39718
C -2.68123 -2.25520 2.41087
C -3.42644 -2.46281 1.09154
O -4.25996 -1.36318 0.80020
C -3.51336 -0.17321 0.70880
C -2.76960 0.11600 2.01625
C 0.09722 1.07585 0.16847
C 0.28993 1.62801 -1.06477
C 0.60637 3.04909 -1.46367
C 2.08425 3.31658 -1.14325
C -0.25985 4.08023 -0.74648
H -1.05429 4.56193 -3.27358
H -0.99984 3.39185 -4.58580
H -1.74869 2.94737 -3.05034
H 1.21211 3.54460 -3.51511
+++

== Solution ==
1.
Below is the molecule C27H32N4O5 in a non-equilibrium geometry, with properties calculated with the ωB97M-V functional and the def2-TZVPD basis.

The geometry in XYZ format:
```
68
C27H32N4O5 the ωB97M-V functional and the def2-TZVPD basis
C 0.46547 4.68143 3.11626
C 1.40106 3.47722 3.21971
C 0.95015 2.34121 2.34618
C -0.21703 1.64767 2.64610
C -0.62963 0.57987 1.87533
C 0.12355 0.18808 0.77653
N -0.25041 -0.96266 0.03068
C -1.37225 -1.04426 -0.71723
O -1.76697 -2.09923 -1.19515
C -2.07542 0.25986 -1.03325
C -1.20303 1.10289 -1.97748
C -0.69628 2.36189 -1.29411
O -1.29147 2.92429 -0.40657
N 0.47390 2.82774 -1.82840
C 1.15441 3.94162 -1.38719
C 0.68540 5.00662 -0.57612
C 1.77317 5.82360 -0.46548
C 1.99021 7.10136 0.25413
O 2.79787 5.29617 -1.15678
N 2.40867 4.12844 -1.72757
C 0.66695 -2.10408 0.13316
C 0.18255 -3.14983 1.16868
O 0.79793 -3.33768 2.19868
N -0.93678 -3.77664 0.80703
C -1.62047 -4.74901 1.62818
C -1.89140 -6.02719 0.83108
C -3.13198 -5.70432 -0.01432
C -3.82512 -4.51504 0.67923
C -3.03285 -4.26531 1.96642
C 0.90386 -2.70638 -1.21464
C 1.00055 -3.99609 -1.64195
C 1.26998 -3.93237 -3.03173
C 1.31643 -2.61217 -3.34371
O 1.10340 -1.85761 -2.24957
C 1.28661 0.87664 0.46160
C 1.68939 1.94644 1.23992
H 0.80783 5.48267 3.76753
H 0.43976 5.04774 2.09424
H -0.54553 4.40757 3.40572
H 1.43075 3.13677 4.25811
H 2.41128 3.77796 2.93512
H -0.80000 1.93396 3.50875
H -1.52449 0.03178 2.13148
H -2.28152 0.84209 -0.13421
H -3.02208 0.00120 -1.50775
H -1.79683 1.43331 -2.83348
H -0.36967 0.51246 -2.36231
H 0.98464 2.26382 -2.49264
H -0.29531 5.11445 -0.16861
H 2.60391 6.93311 1.13861
H 2.51280 7.80661 -0.38839
H 1.03626 7.51975 0.56003
H 1.61044 -1.70552 0.52759
H -1.38448 -3.49837 -0.06324
H -0.99872 -4.91480 2.51121
H -1.03628 -6.31299 0.22120
H -2.10126 -6.83999 1.52651
H -3.79166 -6.56851 -0.08145
H -2.84191 -5.43081 -1.02816
H -3.78355 -3.63399 0.03898
H -4.87298 -4.72244 0.89127
H -3.42876 -4.86600 2.78566
H -3.04458 -3.21919 2.26865
H 0.89968 -4.87728 -1.04370
H 1.40424 -4.75858 -3.69883
H 1.48505 -2.09601 -4.26793
H 1.88061 0.56857 -0.38728
H 2.59880 2.47154 0.98492
```

The calculation puts the LUMO energy at 0.02509 Ha. The calculation puts the strongest force on any atom at 1.34 eV/Å. Its multiplicity is 1. The calculation puts the energy at -44716.72370 eV. For the gap between HOMO and LUMO, the calculation gives 0.339 Ha. The SMILES is CCc1ccc(N(C(=O)CCC(=O)Nc2cc(C)on2)[C@@H](C(=O)NC2CCCC2)c2ccco2)cc1.

Atom charges from the natural (NBO) analysis, given in e for atoms 1 to 4: -0.595 -0.420 -0.009 -0.142



2.
Below is the molecule C27H32N5O5PS in a non-equilibrium geometry, with properties calculated with the ωB97M-V functional and the def2-TZVPD basis.

The geometry in XYZ format:
```
71
C27H32N5O5PS the ωB97M-V functional and the def2-TZVPD basis
C -0.93611 3.50844 -3.50650
C 0.41422 2.98854 -3.00826
N 0.55648 1.56979 -3.31463
C 0.50769 1.07645 -4.66055
C 0.30815 0.81827 -2.21505
C 0.12810 -0.55462 -2.12084
C -0.05776 -1.11684 -0.86239
N -0.24543 -2.48596 -0.69664
C -0.54811 -3.42196 -1.64445
O -0.68510 -3.19352 -2.83171
C -0.73732 -4.77667 -1.10557
C -0.97561 -5.89151 -1.86562
C -1.13872 -7.05753 -1.09748
C -1.02899 -6.81884 0.23740
S -0.72053 -5.16981 0.58636
C -0.07489 -0.30898 0.28898
P -0.32829 -1.05289 1.92225
O 0.25777 -2.38419 2.13309
N 0.24833 0.12239 3.01135
C 1.50167 0.66802 3.02935
C 2.48401 0.21106 2.14249
C 3.72260 0.80365 2.11287
C 4.00514 1.86016 2.97799
N 5.28478 2.49141 2.93466
O 6.08771 2.09628 2.11090
O 5.50045 3.39525 3.72048
C 3.04816 2.30311 3.88877
C 1.80753 1.71194 3.91352
N -1.93863 -1.00987 2.39718
C -2.68123 -2.25520 2.41087
C -3.42644 -2.46281 1.09154
O -4.25996 -1.36318 0.80020
C -3.51336 -0.17321 0.70880
C -2.76960 0.11600 2.01625
C 0.09722 1.07585 0.16847
C 0.28993 1.62801 -1.06477
C 0.60637 3.04909 -1.46367
C 2.08425 3.31658 -1.14325
C -0.25985 4.08023 -0.74648
H -1.05429 4.56193 -3.27358
H -0.99984 3.39185 -4.58580
H -1.74869 2.94737 -3.05034
H 1.21211 3.54460 -3.51511